My first Book......

    • 2068 posts
    April 16, 2011 11:36 PM BST

Someone pasted materials data at this point:
┌──
# 1
CsKNbF6 | PBE | relaxed

```
CsKNbF6
1.0
-1.831 0.004 6.450
-3.104 -4.034 -4.364
6.941 -7.478 1.975
F Cs Nb K
12 2 2 2
direct
0.928 0.341 0.149 F
0.659 0.587 0.149 F
0.659 0.072 0.351 F
0.341 0.928 0.649 F
0.072 0.659 0.851 F
0.587 0.928 0.851 F
0.928 0.587 0.351 F
0.072 0.413 0.649 F
0.587 0.659 0.649 F
0.413 0.341 0.351 F
0.413 0.072 0.149 F
0.341 0.413 0.851 F
0.000 0.000 0.000 Cs
0.000 0.000 0.500 Cs
0.667 0.333 0.250 Nb
0.333 0.667 0.750 Nb
0.667 0.333 0.750 K
0.333 0.667 0.250 K
```

Properties
* symmetry: P-31c (163)
* VASP energy: -5.548 eV per atom
* magnetization: 1.00 μB/f.u.

---

# 2
EuGe2Pt | PBE | relaxed

```
EuGe2Pt
1.0
4.257 0.000 0.000
2.129 3.687 0.000
2.129 1.229 5.335
Ge Eu Pt
2 1 1
direct
0.219 0.219 0.343 Ge
0.781 0.781 0.657 Ge
0.000 0.000 0.000 Eu
0.500 0.500 0.500 Pt
```

Properties
* symmetry: R-3m (166)
* VASP energy: -7.142 eV per atom
* formation enthalpy at 0 K: -0.7541 eV per atom
* magnetization: 6.88 μB/f.u.

* * * * *

<i>
! GGA-PBE EuIn2Pd, optimized geometry; values from VASP
! Volume in A^3/atom: 24.02
! Magnetization in μB per formula unit: 7.09
&SYSTEM
  ibrav = 0, nat = 8, ntyp = 3
/
ATOMIC_SPECIES
In 114.82 In.upf
Pd 106.42 Pd.upf
Eu 151.96 Eu.upf
ATOMIC_POSITIONS angstrom
In 2.323 1.494 7.463
In -0.511 2.714 3.524
In 2.323 1.494 4.355
In -0.511 2.714 0.416
Pd 3.688 0.906 1.970
Pd -1.876 3.302 5.909
Eu 5.140 0.281 5.909
Eu -3.328 3.927 1.970
CELL_PARAMETERS angstrom
5.795 -0.002 0.000
-3.983 4.210 0.000
0.000 0.000 7.878

=====

<ii>
! GGA-PBE EuIn2Pd, optimized geometry; values from VASP
! Volume in A^3/atom: 23.38
! Magnetization in μB per formula unit: 7.06
&SYSTEM
  ibrav = 0, nat = 4, ntyp = 3
/
ATOMIC_SPECIES
Pd 106.42 Pd.upf
In 114.82 In.upf
Eu 151.96 Eu.upf
ATOMIC_POSITIONS angstrom
Pd -1.703 0.942 -1.475
In -4.498 -1.973 3.933
In -1.107 -0.486 0.968
Eu -4.506 -0.287 0.975
CELL_PARAMETERS angstrom
-1.577 3.061 -0.268
-1.829 -1.177 -2.682
-5.606 -2.458 4.901

=====

Which of them is most stable, and which least? Most stable: <i>; least stable: <ii>.

=====

<i>
! GGA-PBE PmEuIn, optimized geometry; values from VASP
! Volume in A^3/atom: 32.58
! Magnetization in μB per formula unit: 7.86
&SYSTEM
  ibrav = 0, nat = 3, ntyp = 3
/
ATOMIC_SPECIES
Pm 145.00 Pm.upf
Eu 151.96 Eu.upf
In 114.82 In.upf
ATOMIC_POSITIONS angstrom
Pm 0.000 0.000 3.542
Eu 1.906 1.906 6.255
In 1.906 1.906 1.632
CELL_PARAMETERS angstrom
3.813 0.000 0.000
0.000 3.813 0.000
-1.906 -1.906 6.723

=====

<ii>
! GGA-PBE PmEuIn, optimized geometry; values from VASP
! Volume in A^3/atom: 37.23
! Magnetization in μB per formula unit: 7.46
&SYSTEM
  ibrav = 0, nat = 3, ntyp = 3
/
ATOMIC_SPECIES
Eu 151.96 Eu.upf
In 114.82 In.upf
Pm 145.00 Pm.upf
ATOMIC_POSITIONS angstrom
Eu 0.000 0.000 0.000
In 2.703 1.560 1.103
Pm 5.406 3.121 2.207
CELL_PARAMETERS angstrom
5.406 0.000 0.000
2.703 4.681 0.000
2.703 1.560 4.414

=====

Which of them is most stable, and which least? Most stable: <i>; least stable: <ii>.

=====

<i>
└──

    I I Know this isn't TG Related but i feel its worth posting. I have just had my first book published and printed & i'm very happy with it. Here in Lowestoft i have been doing a lot of voluntary work for the local heritage society, who look into the history of this pl;ace. For the last year i have been researching all the World war 1 medal awards made to soldiers of the local army regiments, including names, army numbers & pictures of the Actual Medals themselves. On Wednesday of this week (13th April) i had 15 copies printed and bound up for sale in our shop & on the website too. This morning i sold my first copy via the the USA of all places. As you can imagine i am feeling very happy & i couldn't NOT share it with you all.

    Anna-Marie xxxxxxxxxxxx

    This post was edited by Anna-Marie Trindall at April 16, 2011 11:57 PM BST
    • Moderator
    • 1017 posts
    April 17, 2011 12:11 AM BST

    Congrats, Anna-Marie!

    Her link doesn't work for me (Server Not Found), but if you cut and paste it into your browser, it works just fine.


    • 2127 posts
    April 17, 2011 2:39 AM BST

    Blimey AM, I'm soooo proud of you.  Congratulations!

    For some reason, the link has an HTML paragraph tag on the end of it which messes it up.  Another bug I fear.  I'll alert our developers to it.

    Hugs, Katie   x

    • Moderator
    • 734 posts
    April 17, 2011 11:49 PM BST

    Three things AM:

    Firstly, I don't want this forum restricted to just TG writing - I want it all!

    Secondly, that is absolutely fantastic hunni. So proud of your achievement and dedication.

    Thirdly, your photo's are looking good.

    Fourthly, YAY!  Laughing

    Rae x

  • April 18, 2011 5:23 AM BST

    Congratulations on your achievement, Anna-Marie. I know the hard work  and stamina that is required from the initial conception to the final birth of a book.

    • Moderator
    • 1017 posts
    May 9, 2011 5:59 PM BST

    They Served With Honour: Local Medal Awards of World War One
    Researched and Collated by Anna Marie Trindall

    Paperback: 53 pages
    Publisher: Heritage Workshop Centre
    Language: English
    ISBN: 1-904413-24-2

### Unrelated to this entry: crystal structures
/*
# 1
The following is a DFT calculation (GGA-PBE) of a relaxed Pm3Sm3Ho8 crystal.

POSCAR file:
```
Pm3Sm3Ho8
1.0
-2.831 5.383 7.558
2.831 -5.383 7.558
2.831 5.383 -7.558
Pm Sm Ho
3 3 8
Direct
0.000 0.000 0.000
0.185 0.685 0.500
0.815 0.315 0.500
0.200 0.500 0.700
0.500 0.500 0.000
0.800 0.500 0.300
0.119 0.279 0.839
0.238 0.897 0.341
0.440 0.279 0.161
0.444 0.103 0.341
0.556 0.897 0.659
0.560 0.721 0.839
0.762 0.103 0.659
0.881 0.721 0.161
```

## Properties
electronic total energy: -4.53 eV/atom
symmetry: Immm, No. 71
ΔH_f (0 K): 111 meV/atom

=====

# 2
The following is a DFT calculation (GGA-PBE) of a relaxed Cu2OF2 crystal.

POSCAR file:
```
Cu2OF2
1.0
-2.862 2.862 5.061
2.862 -2.862 5.061
2.862 2.862 -5.061
Cu O F
4 2 4
Direct
0.000 0.000 0.000
0.000 0.000 0.500
0.000 0.500 0.000
0.500 0.000 0.500
0.125 0.875 0.250
0.875 0.125 0.750
0.131 0.381 0.750
0.381 0.131 0.250
0.619 0.869 0.750
0.869 0.619 0.250
```

## Properties
electronic total energy: -4.49 eV/atom
symmetry: I4_1/amd, No. 141
formation energy from raw total energies: -1.108 eV/atom

=====

# 3
The following is a DFT calculation (GGA-PBE) of a relaxed Li2Er2Au3 crystal.

POSCAR file:
```
Li2Er2Au3
1.0
3.543 0.000 0.000
0.000 23.426 0.000
0.000 0.000 3.448
Li Er Au
4 4 6
Direct
0.000 0.209 0.000
0.000 0.791 0.000
0.500 0.291 0.000
0.500 0.709 0.000
0.000 0.079 0.000
0.000 0.921 0.000
0.500 0.421 0.000
0.500 0.579 0.000
0.000 0.347 0.500
0.000 0.500 0.500
0.000 0.653 0.500
0.500 0.000 0.500
0.500 0.153 0.500
0.500 0.847 0.500
```

## Properties
electronic total energy: -3.90 eV/atom
symmetry: Cmmm, No. 65
ΔH_f (0 K): -640 meV/atom

=====

# 4
The following is a DFT calculation (GGA-PBE) of a relaxed YAuO2F crystal.

POSCAR file:
```
YAuO2F
1.0
4.457 0.000 0.000
0.000 4.457 0.000
0.000 0.000 4.301
Y Au O F
1 1 2 1
Direct
0.000 0.000 0.000
0.500 0.500 0.500
0.000 0.500 0.000
0.500 0.000 0.000
0.000 0.000 0.500
```

## Properties
electronic total energy: -5.88 eV/atom
symmetry: P4/mmm, No. 123
formation energy from raw total energies: -1.573 eV/atom

=====

# 5
The following is a DFT calculation (GGA-PBE) of a relaxed Sc6AgHg5 crystal.

POSCAR file:
```
Sc6AgHg5
1.0
2.472 -7.435 0.000
2.472 7.435 0.000
0.000 0.000 7.037
Sc Ag Hg
6 1 5
Direct
0.000 0.000 0.248
0.000 0.000 0.752
0.334 0.666 0.247
0.334 0.666 0.753
0.666 0.334 0.247
0.666 0.334 0.753
0.500 0.500 0.000
0.163 0.837 0.000
0.168 0.832 0.500
0.500 0.500 0.500
0.832 0.168 0.500
0.837 0.163 0.000
```

## Properties
electronic total energy: -3.93 eV/atom
symmetry: Cmmm, No. 65
ΔH_f (0 K): -404 meV/atom

=====

# 6
The following is a DFT calculation (GGA-PBE) of a relaxed La3DySb4 crystal.

POSCAR file:
```
La3DySb4
1.0
9.130 0.000 0.000
0.000 12.915 0.000
0.000 0.000 4.574
La Dy Sb
6 2 8
Direct
0.000 0.000 0.000
0.250 0.250 0.500
0.250 0.750 0.500
0.500 0.500 0.000
0.750 0.250 0.500
0.750 0.750 0.500
0.000 0.500 0.000
0.500 0.000 0.000
0.000 0.254 0.000
0.000 0.746 0.000
0.241 0.500 0.500
0.259 0.000 0.500
0.500 0.246 0.000
*/

    The book is divided into two sections. The main portion shows a color illustration of a medal with a bit about it's history followed by a list of those who were awarded the particular medal including their rank, name and what part of the service they were in. This part of the book is primarily directed at military enthusiasts, researchers, local history buffs and historians. The format is clear and easy to read.

    The second section tells the stories of five individual medal awardees. This section is well illustrated with photographs of the men, as well as pertinent do***ents, paintings, gravestones and, of course, the medals they were awarded.

    My own college degree is in history and my area of specialization was the Treaty of Trianon (between the Allies and the defeated Hungary, formerly of the Austro-Hungarian Empire, at the end of WWI), so I have an interest in the era, though before reading this book I had little knowledge of the Norfolk, Suffolk, Essex and the rest of East Anglia's brave participation in "the Great War." I found the histories and descriptions of the medals very interesting. I especially enjoyed the pieces about the particular awardee's and their personal histories, before, during and after the War. It was made more poignant since as I was reading the last combat veteran of WWI, Claude Choules, passed away.

-- Between two parts of the text: data records --
1.
# PBE-GGA CsHgGeS3, relaxed
data_CsHgGeS3
_cell_length_a 13.5421
_cell_length_b 7.6132
_cell_length_c 8.1207
_cell_angle_alpha 90.00
_cell_angle_beta 107.75
_cell_angle_gamma 90.00
_space_group_name_H-M_alt 'C 1 2/m 1'
_space_group_IT_number 12
_space_group_name_Hall '-C 2y'
loop_
_atom_site_label
_atom_site_fract_x
_atom_site_fract_y
_atom_site_fract_z
Cs1 0.1853 0.0000 0.2152
Hg1 0.0000 0.2580 0.5000
Ge1 0.0063 0.5000 0.1565
S1 0.0822 0.2544 0.8064
S2 0.1578 0.5000 0.3497
# energy relative to the elements, uncorrected = -13.21 kcal/mol of atoms
# crystal system = monoclinic
# total magnetization = 0.00 μB/f.u.

=====

2.
# PBE-GGA CsHg2GeSb, relaxed
data_CsHg2GeSb
_cell_length_a 5.7083
_cell_length_b 5.7083
_cell_length_c 5.6353
_cell_angle_alpha 90.00
_cell_angle_beta 90.00
_cell_angle_gamma 90.00
_space_group_name_H-M_alt 'P 4/m m m'
_space_group_IT_number 123
_space_group_name_Hall '-P 4 2'
loop_
_atom_site_label
_atom_site_fract_x
_atom_site_fract_y
_atom_site_fract_z
Cs1 0.0000 0.0000 0.0000
Hg1 0.0000 0.5000 0.5000
Ge1 0.5000 0.5000 0.5000
Sb1 0.5000 0.5000 0.0000
# energy relative to the elements, uncorrected = -0.48 kcal/mol of atoms
# crystal system = tetragonal
# total magnetization = 0.00 μB/f.u.

=====

3.
# PBE-GGA Cs2HgGeSe4, relaxed
data_Cs2HgGeSe4
_cell_length_a 6.6985
_cell_length_b 14.4641
_cell_length_c 25.6210
_cell_angle_alpha 90.00
_cell_angle_beta 90.00
_cell_angle_gamma 90.00
_space_group_name_H-M_alt 'F d d d'
_space_group_IT_number 70
loop_
_space_group_symop_operation_xyz
'x,y,z'
'-x,-y,-z'
'-x+1/4,-y+1/4,z'
'x+1/4,y+1/4,-z'
'x,-y+1/4,-z+1/4'
'-x,y+1/4,z+1/4'
'-x+1/4,y,-z+1/4'
'x+1/4,-y,z+1/4'
'x,y+1/2,z+1/2'
'-x,-y+1/2,-z+1/2'
'-x+1/4,-y+3/4,z+1/2'
'x+1/4,y+3/4,-z+1/2'
'x,-y+3/4,-z+3/4'
'-x,y+3/4,z+3/4'
'-x+1/4,y+1/2,-z+3/4'
'x+1/4,-y+1/2,z+3/4'
'x+1/2,y,z+1/2'
'-x+1/2,-y,-z+1/2'
'-x+3/4,-y+1/4,z+1/2'
'x+3/4,y+1/4,-z+1/2'
'x+1/2,-y+1/4,-z+3/4'
'-x+1/2,y+1/4,z+3/4'
'-x+3/4,y,-z+3/4'
'x+3/4,-y,z+3/4'
'x+1/2,y+1/2,z'
'-x+1/2,-y+1/2,-z'
'-x+3/4,-y+3/4,z'
'x+3/4,y+3/4,-z'
'x+1/2,-y+3/4,-z+1/4'
'-x+1/2,y+3/4,z+1/4'
'-x+3/4,y+1/2,-z+1/4'
'x+3/4,-y+1/2,z+1/4'
loop_
_atom_site_label
_atom_site_fract_x
_atom_site_fract_y
_atom_site_fract_z
Cs1 0.1250 0.1250 0.3059
Hg1 0.1250 0.1250 0.1250
Ge1 0.1250 0.1250 0.6250
Se1 0.0886 0.2796 0.8223
# energy relative to the elements, uncorrected = -16.50 kcal/mol of atoms
# crystal system = orthorhombic
# total magnetization = 0.00 μB/f.u.

=====

4.
# PBE-GGA CsHgGeSe3, relaxed
data_CsHgGeSe3
_cell_length_a 13.4814
_cell_length_b 7.9637
_cell_length_c 8.3404
_cell_angle_alpha 90.00
_cell_angle_beta 105.66
_cell_angle_gamma 90.00
_space_group_name_H-M_alt 'C 1 2/m 1'
_space_group_IT_number 12
_space_group_name_Hall '-C 2y'
loop_
_atom_site_label
_atom_site_fract_x
_atom_site_fract_y
_atom_site_fract_z
Cs1 0.1722 0.0000 0.2233
Hg1 0.0000 0.2745 0.5000
Ge1 0.0051 0.5000 0.8524
Se1 0.0949 0.2473 0.8103
Se2 0.1512 0.5000 0.3574
-- Here the text continues --

    I ordered the book over the Internet, using PayPal, and it arrived at my door eleven days later - pretty good service from the East Coast of the UK to the West Coast of the USA. The price, including shipping and the GBP/US$ exchange came to a mere $20.02, quite reasonable.

  • May 10, 2011 6:33 PM BST

    Well done AnnaMarie! Not only are you now a published author you have exported too!